Please copy everything further down character by character.

<<<
# Pu4HRh3
Calculated powder diffraction line list, Cu Kα (λ = 1.5418 Å). Input: a crystal structure in Alexandria, relaxed with GGA-PBE.
Neutral-atom scattering factors, no anomalous dispersion.

Crystal structure
a = 6.777 Å, b = 6.777 Å, c = 6.777 Å
α = 90.00°, β = 90.00°, γ = 90.00°
Space group I-43m (No. 217)
One atom of each set of equivalent atoms:
Pu 0.197 0.197 0.197
H 0.000 0.000 0.000
Rh 0.000 0.000 0.500

The 12 most intense peaks (10° ≤ 2θ ≤ 90°), in order of falling intensity:
- (2 1 1), 2θ = 32.36°, rel. 100
- (2 2 0), 2θ = 37.54°, rel. 92
- (4 1 1), 2θ = 57.71°, rel. 55
- (6 1 1), 2θ = 89.05°, rel. 24
- (2 0 0), 2θ = 26.30°, rel. 24
- (3 1 0), 2θ = 42.16°, rel. 21
- (5 3 0), 2θ = 83.10°, rel. 21
- (3 3 2), 2θ = 64.49°, rel. 20
- (4 3 1), 2θ = 70.90°, rel. 20
- (3 2 1), 2θ = 50.38°, rel. 20
- (4 2 2), 2θ = 67.73°, rel. 13
- (6 0 0), 2θ = 86.08°, rel. 11

=====

(1)
Calculated powder diffraction line list of In3Sb for CuKα, from a crystal structure in Alexandria, relaxed with PBE.
Intensities are scaled so that the largest is 100.

Structural model:
Cell: 5.3989 5.3989 5.3989 Å, 60.00 60.00 60.00°
Fractional coordinates of all 4 atoms:
1 In 0.0000 0.0000 0.0000
2 In 0.2500 0.2500 0.2500
3 In 0.7500 0.7500 0.7500
4 Sb 0.5000 0.5000 0.5000

Most intense lines, 2θ = 10–90°, sorted by position:
2θ (°), intensity
33.2, 100
47.6, 18
59.3, 36
69.7, 11
79.4, 15
88.8, 4

(2)
Calculated powder diffraction line list of Ni5Ru3 for CuKα, from a crystal structure in Alexandria, relaxed with PBE.
Intensities are scaled so that the largest is 100.

Structural model:
Cell: 6.6453 6.6453 4.9047 Å, 109.04 109.04 85.26°
Fractional coordinates of all 16 atoms:
1 Ni 0.0418 0.9582 0.7500
2 Ni 0.1650 0.5871 0.5056
3 Ni 0.2069 0.2901 0.7445
4 Ni 0.2901 0.2069 0.2445
5 Ni 0.4129 0.8350 0.9944
6 Ni 0.5871 0.1650 0.0056
7 Ni 0.7099 0.7931 0.7555
8 Ni 0.7931 0.7099 0.2555
9 Ni 0.8350 0.4129 0.4944
10 Ni 0.9582 0.0418 0.2500
11 Ru 0.0786 0.6698 0.0037
12 Ru 0.3302 0.9214 0.4963
13 Ru 0.4554 0.5446 0.2500
14 Ru 0.5446 0.4554 0.7500
15 Ru 0.6698 0.0786 0.5037
16 Ru 0.9214 0.3302 0.9963

Most intense lines, 2θ = 10–90°, sorted by position:
2θ (°), intensity
40.1, 22
40.3, 52
43.5, 76
45.8, 100
46.0, 94
46.1, 94
60.6, 26
72.9, 30
81.5, 33
89.0, 27

(3)
Calculated powder diffraction line list of Cs2HfTe4 for CuKα, from a crystal structure in Alexandria, relaxed with PBE.
Intensities are scaled so that the largest is 100.

Structural model:
Cell: 8.4922 4.2391 9.0799 Å, 90.00 109.11 90.00°
Fractional coordinates of all 7 atoms:
1 Cs 0.1953 0.0000 0.3194
2 Cs 0.8047 0.0000 0.6806
3 Hf 0.5000 0.5000 0.0000
4 Te 0.1374 0.5000 0.9266
5 Te 0.4142 0.0000 0.7688
6 Te 0.5858 0.0000 0.2312
7 Te 0.8626 0.5000 0.0734

Most intense lines, 2θ = 10–90°, sorted by position:
2θ (°), intensity
10.3, 100
21.2, 50
23.4, 72
29.6, 95
29.9, 32
31.6, 35
34.8, 30
36.5, 30
42.7, 28
44.1, 36

(4)
Calculated powder diffraction line list of YAlAg for CuKα, from a crystal structure in Alexandria, relaxed with PBE.
Intensities are scaled so that the largest is 100.

Structural model:
Cell: 8.0126 8.0126 8.0126 Å, 149.38 149.38 43.86°
Fractional coordinates of all 6 atoms:
1 Y 0.1656 0.1656 0.0000
2 Y 0.8344 0.8344 0.0000
3 Al 0.0000 0.5000 0.5000
4 Al 0.5000 0.0000 0.5000
5 Ag 0.3797 0.3797 0.0000
6 Ag 0.6203 0.6203 0.0000

Most intense lines, 2θ = 10–90°, sorted by position:
2θ (°), intensity
23.9, 45
29.9, 91
37.0, 58
38.6, 100
42.7, 57
49.6, 24
57.7, 30
60.1, 27
75.5, 26
76.6, 26

(5)
Calculated powder diffraction line list of BePd4 for CuKα, from a crystal structure in Alexandria, relaxed with PBE.
Intensities are scaled so that the largest is 100.

Structural model:
Cell: 5.1842 5.1842 7.6706 Å, 90.00 90.00 135.44°
Fractional coordinates of all 10 atoms:
1 Be 0.2500 0.7500 0.8766
2 Be 0.7500 0.2500 0.1234
3 Pd 0.1065 0.8935 0.1295
4 Pd 0.1097 0.8903 0.6209
5 Pd 0.3903 0.6097 0.6209
6 Pd 0.3935 0.6065 0.1295
7 Pd 0.6065 0.3935 0.8705
8 Pd 0.6097 0.3903 0.3791
>>>

# Pu4HRh3
Calculated powder diffraction line list, Cu Kα (λ = 1.5418 Å). Input: a crystal structure in Alexandria, relaxed with GGA-PBE.
Neutral-atom scattering factors, no anomalous dispersion.

Crystal structure
a = 6.777 Å, b = 6.777 Å, c = 6.777 Å
α = 90.00°, β = 90.00°, γ = 90.00°
Space group I-43m (No. 217)
One atom of each set of equivalent atoms:
Pu 0.197 0.197 0.197
H 0.000 0.000 0.000
Rh 0.000 0.000 0.500

The 12 most intense peaks (10° ≤ 2θ ≤ 90°), in order of falling intensity:
- (2 1 1), 2θ = 32.36°, rel. 100
- (2 2 0), 2θ = 37.54°, rel. 92
- (4 1 1), 2θ = 57.71°, rel. 55
- (6 1 1), 2θ = 89.05°, rel. 24
- (2 0 0), 2θ = 26.30°, rel. 24
- (3 1 0), 2θ = 42.16°, rel. 21
- (5 3 0), 2θ = 83.10°, rel. 21
- (3 3 2), 2θ = 64.49°, rel. 20
- (4 3 1), 2θ = 70.90°, rel. 20
- (3 2 1), 2θ = 50.38°, rel. 20
- (4 2 2), 2θ = 67.73°, rel. 13
- (6 0 0), 2θ = 86.08°, rel. 11

=====

(1)
Calculated powder diffraction line list of In3Sb for CuKα, from a crystal structure in Alexandria, relaxed with PBE.
Intensities are scaled so that the largest is 100.

Structural model:
Cell: 5.3989 5.3989 5.3989 Å, 60.00 60.00 60.00°
Fractional coordinates of all 4 atoms:
1 In 0.0000 0.0000 0.0000
2 In 0.2500 0.2500 0.2500
3 In 0.7500 0.7500 0.7500
4 Sb 0.5000 0.5000 0.5000

Most intense lines, 2θ = 10–90°, sorted by position:
2θ (°), intensity
33.2, 100
47.6, 18
59.3, 36
69.7, 11
79.4, 15
88.8, 4

(2)
Calculated powder diffraction line list of Ni5Ru3 for CuKα, from a crystal structure in Alexandria, relaxed with PBE.
Intensities are scaled so that the largest is 100.

Structural model:
Cell: 6.6453 6.6453 4.9047 Å, 109.04 109.04 85.26°
Fractional coordinates of all 16 atoms:
1 Ni 0.0418 0.9582 0.7500
2 Ni 0.1650 0.5871 0.5056
3 Ni 0.2069 0.2901 0.7445
4 Ni 0.2901 0.2069 0.2445
5 Ni 0.4129 0.8350 0.9944
6 Ni 0.5871 0.1650 0.0056
7 Ni 0.7099 0.7931 0.7555
8 Ni 0.7931 0.7099 0.2555
9 Ni 0.8350 0.4129 0.4944
10 Ni 0.9582 0.0418 0.2500
11 Ru 0.0786 0.6698 0.0037
12 Ru 0.3302 0.9214 0.4963
13 Ru 0.4554 0.5446 0.2500
14 Ru 0.5446 0.4554 0.7500
15 Ru 0.6698 0.0786 0.5037
16 Ru 0.9214 0.3302 0.9963

Most intense lines, 2θ = 10–90°, sorted by position:
2θ (°), intensity
40.1, 22
40.3, 52
43.5, 76
45.8, 100
46.0, 94
46.1, 94
60.6, 26
72.9, 30
81.5, 33
89.0, 27

(3)
Calculated powder diffraction line list of Cs2HfTe4 for CuKα, from a crystal structure in Alexandria, relaxed with PBE.
Intensities are scaled so that the largest is 100.

Structural model:
Cell: 8.4922 4.2391 9.0799 Å, 90.00 109.11 90.00°
Fractional coordinates of all 7 atoms:
1 Cs 0.1953 0.0000 0.3194
2 Cs 0.8047 0.0000 0.6806
3 Hf 0.5000 0.5000 0.0000
4 Te 0.1374 0.5000 0.9266
5 Te 0.4142 0.0000 0.7688
6 Te 0.5858 0.0000 0.2312
7 Te 0.8626 0.5000 0.0734

Most intense lines, 2θ = 10–90°, sorted by position:
2θ (°), intensity
10.3, 100
21.2, 50
23.4, 72
29.6, 95
29.9, 32
31.6, 35
34.8, 30
36.5, 30
42.7, 28
44.1, 36

(4)
Calculated powder diffraction line list of YAlAg for CuKα, from a crystal structure in Alexandria, relaxed with PBE.
Intensities are scaled so that the largest is 100.

Structural model:
Cell: 8.0126 8.0126 8.0126 Å, 149.38 149.38 43.86°
Fractional coordinates of all 6 atoms:
1 Y 0.1656 0.1656 0.0000
2 Y 0.8344 0.8344 0.0000
3 Al 0.0000 0.5000 0.5000
4 Al 0.5000 0.0000 0.5000
5 Ag 0.3797 0.3797 0.0000
6 Ag 0.6203 0.6203 0.0000

Most intense lines, 2θ = 10–90°, sorted by position:
2θ (°), intensity
23.9, 45
29.9, 91
37.0, 58
38.6, 100
42.7, 57
49.6, 24
57.7, 30
60.1, 27
75.5, 26
76.6, 26

(5)
Calculated powder diffraction line list of BePd4 for CuKα, from a crystal structure in Alexandria, relaxed with PBE.
Intensities are scaled so that the largest is 100.

Structural model:
Cell: 5.1842 5.1842 7.6706 Å, 90.00 90.00 135.44°
Fractional coordinates of all 10 atoms:
1 Be 0.2500 0.7500 0.8766
2 Be 0.7500 0.2500 0.1234
3 Pd 0.1065 0.8935 0.1295
4 Pd 0.1097 0.8903 0.6209
5 Pd 0.3903 0.6097 0.6209
6 Pd 0.3935 0.6065 0.1295
7 Pd 0.6065 0.3935 0.8705
8 Pd 0.6097 0.3903 0.3791